Wanted >
It remains to write out only the last part of the entries further down, starting with the line that has "3.50], [-2.93,".

Material >
-- begin --
[1]
{"formula": "C22H35N3O3S", "method": "ωB97M-V/def2-TZVPD", "symbols": ["S", "O", "O", "O", "N", "N", "N", "C", "C", "C", "C", "C", "C", "C", "C", "C", "C", "C", "C", "C", "C", "C", "C", "C", "C", "C", "C", "C", "C", "H", "H", "H", "H", "H", "H", "H", "H", "H", "H", "H", "H", "H", "H", "H", "H", "H", "H", "H", "H", "H", "H", "H", "H", "H", "H", "H", "H", "H", "H", "H", "H", "H", "H", "H"], "coordinates": [[-0.37, 0.68, 2.95], [-4.73, 2.11, -0.29], [-0.47, 0.18, 4.29], [-0.60, -0.24, 1.87], [-1.09, -0.36, -2.16], [-3.19, 0.54, -0.83], [-1.34, 2.04, 2.78], [-2.36, -0.44, -2.86], [5.48, -2.55, -0.81], [3.58, -1.77, -2.07], [-3.25, 1.26, 1.43], [-3.33, 0.59, -2.27], [2.65, -0.65, -2.46], [-0.23, 0.70, -2.62], [-0.36, -1.60, -2.04], [2.30, 0.30, 2.82], [1.69, -0.31, -1.31], [-1.99, 2.15, 1.49], [4.20, -4.10, -2.12], [-3.83, 1.36, 0.02], [4.64, -1.53, -1.21], [0.73, -1.45, -0.97], [-3.51, 1.58, 3.88], [1.28, 1.41, 2.72], [3.37, -3.07, -2.52], [-2.21, 2.38, 3.89], [-4.21, 1.69, 2.53], [0.87, 0.95, -1.59], [5.26, -3.84, -1.26], [1.27, 1.88, 1.74], [2.54, -3.27, -3.19], [0.40, 1.27, -0.66], [2.31, -0.12, -0.42], [1.52, 1.76, -1.94], [-4.15, 1.93, 4.69], [-2.26, -0.28, -3.95], [-1.27, 1.84, 0.74], [-2.77, -1.44, -2.70], [2.10, -0.46, 2.07], [-5.10, 1.07, 2.51], [-1.64, 2.18, 4.80], [-4.36, 0.35, -2.55], [5.91, -4.65, -0.95], [3.24, 0.24, -2.70], [6.30, -2.35, -0.14], [-2.42, 3.45, 3.83], [1.28, -2.38, -0.87], [0.24, -1.22, -0.02], [0.09, -1.91, -3.00], [-2.27, 3.19, 1.33], [1.39, 2.15, 3.50], [-2.93, 0.23, 1.61], [2.09, -0.93, -3.35], [3.31, 0.68, 2.68], [-4.52, 2.73, 2.35], [-3.11, 1.60, -2.64], [0.22, 0.46, -3.60], [4.82, -0.52, -0.85], [2.23, -0.17, 3.80], [-0.82, 1.61, -2.74], [-3.26, 0.53, 4.08], [-1.05, -2.39, -1.73], [4.03, -5.10, -2.48], [-2.34, 0.06, -0.54]], "lowdin_charge": [0.651, 0.076, -0.278, -0.298, -0.201, 0.072, -0.231, -0.170, -0.085, -0.239, -0.225, -0.156, -0.120, -0.172, -0.173, -0.120, -0.307, -0.157, -0.084, -0.474, -0.046, -0.125, -0.163, -0.267, -0.050, -0.199, -0.145, -0.131, -0.097, 0.089, 0.111, 0.092, 0.126, 0.118, 0.115, 0.126, 0.101, 0.120, 0.065, 0.124, 0.112, 0.125, 0.099, 0.124, 0.101, 0.130, 0.115, 0.090, 0.120, 0.147, 0.100, 0.137, 0.106, 0.080, 0.123, 0.117, 0.126, 0.113, 0.078, 0.121, 0.115, 0.124, 0.102, 0.124], "molar_mass_g_mol": 421.6, "lumo_energy_ev": 0.600, "gap_ev": 9.37, "de_lowest_kj_mol": 54.06, "energy_ha": -1647.51539}

***

[2]
-- stop --

Here it is >
{"formula": "C22H35N3O3S", "method": "ωB97M-V/def2-TZVPD", "symbols": ["S", "O", "O", "O", "N", "N", "N", "C", "C", "C", "C", "C", "C", "C", "C", "C", "C", "C", "C", "C", "C", "C", "C", "C", "C", "C", "C", "C", "C", "H", "H", "H", "H", "H", "H", "H", "H", "H", "H", "H", "H", "H", "H", "H", "H", "H", "H", "H", "H", "H", "H", "H", "H", "H", "H", "H", "H", "H", "H", "H", "H", "H", "H", "H"], "coordinates": [[-0.37, 0.68, 2.95], [-4.73, 2.11, -0.29], [-0.47, 0.18, 4.29], [-0.60, -0.24, 1.87], [-1.09, -0.36, -2.16], [-3.19, 0.54, -0.83], [-1.34, 2.04, 2.78], [-2.36, -0.44, -2.86], [5.48, -2.55, -0.81], [3.58, -1.77, -2.07], [-3.25, 1.26, 1.43], [-3.33, 0.59, -2.27], [2.65, -0.65, -2.46], [-0.23, 0.70, -2.62], [-0.36, -1.60, -2.04], [2.30, 0.30, 2.82], [1.69, -0.31, -1.31], [-1.99, 2.15, 1.49], [4.20, -4.10, -2.12], [-3.83, 1.36, 0.02], [4.64, -1.53, -1.21], [0.73, -1.45, -0.97], [-3.51, 1.58, 3.88], [1.28, 1.41, 2.72], [3.37, -3.07, -2.52], [-2.21, 2.38, 3.89], [-4.21, 1.69, 2.53], [0.87, 0.95, -1.59], [5.26, -3.84, -1.26], [1.27, 1.88, 1.74], [2.54, -3.27, -3.19], [0.40, 1.27, -0.66], [2.31, -0.12, -0.42], [1.52, 1.76, -1.94], [-4.15, 1.93, 4.69], [-2.26, -0.28, -3.95], [-1.27, 1.84, 0.74], [-2.77, -1.44, -2.70], [2.10, -0.46, 2.07], [-5.10, 1.07, 2.51], [-1.64, 2.18, 4.80], [-4.36, 0.35, -2.55], [5.91, -4.65, -0.95], [3.24, 0.24, -2.70], [6.30, -2.35, -0.14], [-2.42, 3.45, 3.83], [1.28, -2.38, -0.87], [0.24, -1.22, -0.02], [0.09, -1.91, -3.00], [-2.27, 3.19, 1.33], [1.39, 2.15, 3.50], [-2.93, 0.23, 1.61], [2.09, -0.93, -3.35], [3.31, 0.68, 2.68], [-4.52, 2.73, 2.35], [-3.11, 1.60, -2.64], [0.22, 0.46, -3.60], [4.82, -0.52, -0.85], [2.23, -0.17, 3.80], [-0.82, 1.61, -2.74], [-3.26, 0.53, 4.08], [-1.05, -2.39, -1.73], [4.03, -5.10, -2.48], [-2.34, 0.06, -0.54]], "lowdin_charge": [0.651, 0.076, -0.278, -0.298, -0.201, 0.072, -0.231, -0.170, -0.085, -0.239, -0.225, -0.156, -0.120, -0.172, -0.173, -0.120, -0.307, -0.157, -0.084, -0.474, -0.046, -0.125, -0.163, -0.267, -0.050, -0.199, -0.145, -0.131, -0.097, 0.089, 0.111, 0.092, 0.126, 0.118, 0.115, 0.126, 0.101, 0.120, 0.065, 0.124, 0.112, 0.125, 0.099, 0.124, 0.101, 0.130, 0.115, 0.090, 0.120, 0.147, 0.100, 0.137, 0.106, 0.080, 0.123, 0.117, 0.126, 0.113, 0.078, 0.121, 0.115, 0.124, 0.102, 0.124], "molar_mass_g_mol": 421.6, "lumo_energy_ev": 0.600, "gap_ev": 9.37, "de_lowest_kj_mol": 54.06, "energy_ha": -1647.51539}

***

[2]